Wow this week has gone too quickly! I can't believe it's April already. The little granny squares are piling up and I should hopefully have enough made in the next few days to be able to start joining them into a scarf. I have lots of little scribbles in my notebook trying to work out how I want to join these ones. I want something different! I'm thinking maybe some sort of
criss-cross stitch up the middle seam?
Mmm, not sure. Do you like my old 'knitting' bag? I found this on Trade Me for an absolute bargain price and it is
sooooo perfect for taking my crochet with me when I am out. I adore these vintage bags so much, I was a bit naughty and bought a blue one too. One for crochet, one for knitting. The knitting bag doesn't get used nearly as much as the crochet bag but in saying that, I have just knitted another tea cosy. It's not quite finished yet, but should be done very soon so pictures to follow. I still have too many projects on the go but I think I'd rather have it that way, than have no projects at all!

Yesterday was a bit of a kitchen-y day. Lots of baking for the weekend, some homemade bread rising slowly on the bench ready to eat with dinner and some very eager tummies. Before I had a chance to grab a quick pic of this sponge cake, a pretty decent sized slice disappeared! I should be flattered that they couldn't wait. I was also having a go at making fondant decorations. I've never ever used fondant before, but it is my dear Dad's 70th birthday party next weekend and I am making his birthday cake. I am so anxious about it, I am actually waking during the night thinking about how to stabilise the decorations for the journey to the party!! Fingers crossed it will all go smoothly. I will have pictures in next week's post.
Mmmm, delicious milk and white chocolate cookies - a family fave from the Edmonds Cookbook - a kiwi classic. I make these so often that I don't need to look at the recipe anymore!

And speaking of chocolate ... my children made me laugh this week when I showed them my new bracelet. They thought it was made of white chocolate! Too cute.

+++
Below is MgFe2O4 after structural relaxation, with properties calculated at the GGA+U level.

Results
**Calculated formation energy**: -45.23 kcal/mol of atoms
**Space-group type**: No. 2
**Relative energy among the computed polymorphs**: 0.140 eV per atom
**Total energy after the MP2020 corrections**: -7.437 eV/atom

```
MgFe2O4
1.0
2.927 0.000 0.000
1.443 7.527 0.000
1.422 2.405 7.577
Mg Fe O
2 4 8
direct
0.194 0.289 0.330 Mg
0.806 0.711 0.670 Mg
0.098 0.095 0.701 Fe
0.341 0.320 0.980 Fe
0.659 0.680 0.020 Fe
0.902 0.905 0.299 Fe
0.064 0.739 0.157 O
0.272 0.597 0.857 O
0.358 0.795 0.484 O
0.359 0.085 0.202 O
0.641 0.915 0.798 O
0.642 0.205 0.516 O
0.728 0.403 0.143 O
0.936 0.261 0.843 O
```


Below is MgFe2O4 after structural relaxation, with properties calculated at the GGA+U level.

Results
**Calculated formation energy**: -46.74 kcal/mol of atoms
**Space-group type**: No. 91
**Relative energy among the computed polymorphs**: 0.074 eV per atom
**Total energy after the MP2020 corrections**: -7.503 eV/atom

```
MgFe2O4
1.0
5.912 0.000 0.000
0.000 5.912 0.000
0.000 0.000 8.366
Mg Fe O
4 8 16
direct
0.000 0.252 0.000 Mg
0.000 0.748 0.500 Mg
0.252 0.000 0.750 Mg
0.748 0.000 0.250 Mg
0.251 0.251 0.375 Fe
0.251 0.749 0.125 Fe
0.252 0.500 0.750 Fe
0.500 0.252 0.000 Fe
0.500 0.748 0.500 Fe
0.748 0.500 0.250 Fe
0.749 0.251 0.625 Fe
0.749 0.749 0.875 Fe
0.019 0.262 0.750 O
0.019 0.738 0.750 O
0.262 0.019 0.000 O
0.262 0.486 0.987 O
0.262 0.514 0.513 O
0.262 0.981 0.500 O
0.486 0.262 0.763 O
0.486 0.738 0.737 O
0.514 0.262 0.237 O
0.514 0.738 0.263 O
0.738 0.019 0.000 O
0.738 0.486 0.013 O
0.738 0.514 0.487 O
0.738 0.981 0.500 O
0.981 0.262 0.250 O
0.981 0.738 0.250 O
```


Below is Mg2Fe2O5 after structural relaxation, with properties calculated at the GGA+U level.

Results
**Calculated formation energy**: -50.56 kcal/mol of atoms
**Space-group type**: No. 1
**Relative energy among the computed polymorphs**: 0.000 eV per atom
**Total energy after the MP2020 corrections**: -7.179 eV/atom

```
Mg2Fe2O5
1.0
5.993 0.000 0.000
-2.973 5.381 0.000
-0.083 -3.076 24.551
Mg Fe O
16 16 40
direct
0.000 0.000 0.000 Mg
0.000 0.497 0.000 Mg
0.001 0.505 0.502 Mg
0.100 0.694 0.300 Mg
0.205 0.912 0.602 Mg
0.207 0.421 0.608 Mg
0.394 0.283 0.199 Mg
0.394 0.779 0.194 Mg
0.397 0.299 0.703 Mg
0.503 0.508 0.502 Mg
0.599 0.699 0.801 Mg
0.600 0.202 0.801 Mg
0.601 0.694 0.299 Mg
0.800 0.099 0.401 Mg
0.801 0.601 0.401 Mg
0.861 0.240 0.122 Mg
0.069 0.657 0.731 Fe
0.102 0.203 0.801 Fe
0.135 0.752 0.877 Fe
0.208 0.904 0.101 Fe
0.299 0.074 0.471 Fe
0.300 0.126 0.332 Fe
0.302 0.601 0.401 Fe
0.468 0.450 0.924 Fe
0.508 0.003 0.000 Fe
0.530 0.545 0.073 Fe
0.708 0.936 0.541 Fe
0.717 0.425 0.610 Fe
0.740 0.958 0.678 Fe
0.803 0.101 0.901 Fe
0.887 0.777 0.192 Fe
0.892 0.264 0.264 Fe
0.049 0.076 0.155 O
0.052 0.617 0.648 O
0.054 0.617 0.152 O
0.065 0.111 0.647 O
0.120 0.736 0.446 O
0.133 0.291 0.950 O
0.161 0.806 0.955 O
0.163 0.303 0.450 O
0.243 0.493 0.253 O
0.244 0.996 0.257 O
+++

While browsing around one of my local op shops recently I stumbled across this dress that turned out to be hand crocheted. I don't think it's necessarily something I would wear (even though it fits like a glove) but I was drawn to it for the workmanship in its creation. The washing instructions on it are hilarious, I
should have taken a pic of the label. It is almost bossy in its tone on how careful you have to be in looking after it. I can imagine the words coming directly from the mouth of the poor person/people who made the dress! I'm sure I'd be bossy too after all those hours whipping up roses and leaves! The weight of it is incredible, the thread is really heavy. I just couldn't leave it in the shop.

It's the last day of Daylight Saving here in New Zealand. I always get a little grumpy when our clocks go back an hour and the evenings are darker too soon. Especially after the gorgeous summery day we have had today. The four of us went for a walk along the waterfront just down the road from our house. We took bikes, scooters and lots of bread for the ducks. It was fabulous. I have been wanting to stop and get some pics of these lovely
boatsheds which I drive by nearly every day - and today was a perfect opportunity to do it. They are quirky, colourful and very individual and I love them. I keep thinking how lovely it would be to own one and be able to sit in the sunshine, right on top of the water and crochet the afternoon away .....

Have a fabulous week!